Ambassador Yaacobi to the UN Security Council on the Massacre in Hebron-28-Feb-94

Ambassador Yaacobi to the UN Security Council on the Massacre in Hebron-28-Feb-94

    Statement by Ambassador Gad Yaacobi Permanent Representative of Israel to the United Nations

    Regarding the Massacre in Hebron

    Security Council
    United Nations

    28 February 1994
    New York

    Mr. President,

    Israel regrets and condemns the criminal murder of Palestinian worshippers in Hebron. We express our sincerest condolences to the families of those killed, and we wish all those wounded a speedy and complete recovery.

    In an appeal to Israelis and Palestinians alike, the President of the State of Israel Ezer Weizman said, "At this difficult time, I call upon all the people of this land, leaders, clergy, Jews and Arabs, Christians and Moslems to grieve together over every needless loss of life."

    Our Prime Minister Yitzhak Rabin spoke by telephone with PLO Chairman Yasser Arafat. Prime Minister Rabin conveyed the sorrow of the Israeli Government and people to Chairman Arafat and to the Palestinian people. He said, "As an Israeli, I am ashamed of this deranged, brutal act." I join the Prime Minister in this sentiment, as do the overwhelming majority of Israelis.

    Both Chief Rabbis of Israel condemned the massacre. The Sephardic Chief Rabbi Eliahu Bakshi Doron said, "I am simply ashamed that a Jew carried out such a villainous and irresponsible act, and I am distressed that it is viewed as the act of a religious person."

    Chief Ashkenazic Rabbi Yisrael Meir Lau said, "The attacker did not act in the name of the Jewish faith.... It is a desecration of God's name to connect faith to this incident."

    The fanatic individual I repeat, individual who committed the violence sought not only to kill people, but also to kill the chances for peace between Israelis and Palestinians. Extremists on both sides believe that they can derail the peace process by creating a vicious cycle of violence and bloodshed.

    They are wrong. We believe that all sides know that we have crossed the point of no return on our way to a new era of peace, security and cooperation. Difficulties will arise. Obstacles will have to be overcome. We were all reminded of this sad truth by the latest events. But the only way to put an end to the violence is peace and reconciliation. There simply is no alternative. We all have a responsibility to the future not to walk away from the historic opportunity which stands before us.

    For this reason it is imperative that all people, Arabs and Jews alike, act with the utmost restraint, despite the sorrow, the grief and the anger.

    Israelis, of all people, understand the pain of losing innocent lives. It is with this understanding that we call for restraint. We, the Israeli people, have faced decades of violence by fanatic Palestinians and others. We have mourned hundreds of Israelis killed in terrorist attacks.

    I will not repeat here the long list of such incidents. Let me just say that since the signing of the Declaration of Principles on 13 September 1993, 33 Israelis have been killed in terrorist attacks in Israel and the territories and 213 have been wounded. These acts were committed not only by individuals, but also by organized terrorist groups. Despite this, we never lost hope for peace; We never came to the conclusion that they were justifications to abandon the search for reconciliation between our peoples.

    Some Palestinian and Arab leaders have said that they want Israel to change its policies. Allow me to bring to your attention some relevant facts on this matter.

    Following the formation of the present government on 13 July 1992, Israel made far-reaching changes in its order of national priorities:

    * The Government of Israel stopped construction of new settlements in the territories.

    * We reallocated resources away from the territories and into Israel.

    * The Government of Israel decided to recognize the PLO as the representative of the Palestinian people and commence negotiations with the PLO within the Middle East peace process.

    * Israel signed the Declaration of Principles on Interim Self- Government Arrangements with the PLO on 13 September 1993.

    * We announced our readiness to negotiate without preconditions a permanent settlement with the Palestinians by no later than the third year of the interim period.

    * And we announced our readiness to negotiate a peace treaty with Syria on the basis of territorial compromise.

    At two meetings held on February 25 and 27, the Cabinet discussed the massacre in Hebron and authorized a number of steps:

    First, a Commission of Inquiry headed by the Chief Justice of the Supreme Court has been established to fully investigate the massacre.

    Second, a series of measures has been taken against radical elements among the Israeli residents of the territories. These measures include

    * the imposition of administrative detentions,

    * the extension of restraining orders and supervisory orders against the entry of certain persons into the territories and especially into the Hebron area,

    * and the disarming of specific individuals and the cancellation of their permits to carry weapons.

    Third, the Attorney General will explore and propose options for outlawing the radical organizations "Kach" and "Kahane Chai."

What comes next are materials data, not part of the entry:
........
1.
# PBE-GGA Ba2YF7, optimized geometry
# Calculated total energy   -6.335 eV/atom
# Mass density   4.71 g/cm³
# E above lowest polymorph   0 meV/atom
data_Ba2YF7
_chemical_formula_sum 'Ba8 Y4 F28'
_space_group_name_H-M_alt 'P 1 21/c 1'
_space_group_IT_number 14
_cell_length_a 5.9318
_cell_length_b 13.2285
_cell_length_c 8.9242
_cell_angle_alpha 90.00
_cell_angle_beta 90.66
_cell_angle_gamma 90.00
loop_
_space_group_symop_operation_xyz
'x,y,z'
'-x,-y,-z'
'-x,y+1/2,-z+1/2'
'x,-y+1/2,z+1/2'
loop_
_atom_site_label
_atom_site_type_symbol
_atom_site_fract_x
_atom_site_fract_y
_atom_site_fract_z
Ba1 Ba 0.2345 0.2203 0.4474
Ba2 Ba 0.2378 0.5625 0.3234
Y1 Y 0.2790 0.6256 0.7842
F1 F 0.0198 0.7466 0.3034
F2 F 0.0213 0.6048 0.5921
F3 F 0.2002 0.0385 0.2882
F4 F 0.2059 0.6399 0.0273
F5 F 0.3812 0.0753 0.6310
F6 F 0.4914 0.7317 0.2952
F7 F 0.4916 0.6056 0.5762

---

2.
# PBE-GGA Ba2YF7, optimized geometry
# Calculated total energy   -6.288 eV/atom
# Mass density   5.23 g/cm³
# Magnetization   0.0 μB/f.u.
# E above lowest polymorph   46 meV/atom
data_Ba2YF7
_chemical_formula_sum 'Ba8 Y4 F28'
_space_group_name_H-M_alt 'C 1 2/c 1'
_space_group_IT_number 15
_cell_length_a 13.8236
_cell_length_b 6.8044
_cell_length_c 8.2323
_cell_angle_alpha 90.00
_cell_angle_beta 125.41
_cell_angle_gamma 90.00
loop_
_space_group_symop_operation_xyz
'x,y,z'
'-x,-y,-z'
'-x,y,-z+1/2'
'x,-y,z+1/2'
'x+1/2,y+1/2,z'
'-x+1/2,-y+1/2,-z'
'-x+1/2,y+1/2,-z+1/2'
'x+1/2,-y+1/2,z+1/2'
loop_
_atom_site_label
_atom_site_type_symbol
_atom_site_fract_x
_atom_site_fract_y
_atom_site_fract_z
Ba1 Ba 0.1795 0.0062 0.2609
Y1 Y 0.0000 0.4852 0.7500
F1 F 0.0000 0.1347 0.7500
F2 F 0.0820 0.3606 0.0728
F3 F 0.1261 0.2597 0.4539
F4 F 0.1862 0.3835 0.8605

---

3.
# PBE-GGA Ba4Y3F17, optimized geometry
# Calculated total energy   -6.479 eV/atom
# Mass density   5.04 g/cm³
data_Ba4Y3F17
_chemical_formula_sum 'Ba8 Y6 F34'
_space_group_name_H-M_alt 'P 1'
_space_group_IT_number 1
_cell_length_a 9.4253
_cell_length_b 9.4285
_cell_length_c 9.4803
_cell_angle_alpha 72.80
_cell_angle_beta 72.99
_cell_angle_gamma 73.00
loop_
_space_group_symop_operation_xyz
'x,y,z'
loop_
_atom_site_label
_atom_site_type_symbol
_atom_site_fract_x
_atom_site_fract_y
_atom_site_fract_z
Ba1 Ba 0.0000 0.0000 0.0000
Ba2 Ba 0.0452 0.7910 0.6170
Ba3 Ba 0.2018 0.3673 0.9383
Ba4 Ba 0.2566 0.1698 0.5691
Ba5 Ba 0.3640 0.9415 0.1981
Ba6 Ba 0.4226 0.7436 0.8368
Ba7 Ba 0.5766 0.3242 0.1516
Ba8 Ba 0.6271 0.1073 0.7724
Y1 Y 0.1276 0.5820 0.2762
Y2 Y 0.4743 0.5244 0.4927
Y3 Y 0.7050 0.8946 0.4157
Y4 Y 0.7872 0.6601 0.0582
Y5 Y 0.8458 0.4464 0.7212
Y6 Y 0.9232 0.2383 0.3485
F1 F 0.0288 0.6513 0.0621
F2 F 0.0496 0.2726 0.7998
F3 F 0.0544 0.5068 0.5388
F4 F 0.0927 0.1412 0.1503
F5 F 0.1262 0.0436 0.4319
F6 F 0.1376 0.3351 0.2872
F7 F 0.1745 0.9186 0.7459
F8 F 0.2234 0.7865 0.1103
F9 F 0.2710 0.6947 0.3985
F10 F 0.3022 0.6025 0.7008
F11 F 0.3155 0.0500 0.8883
F12 F 0.3255 0.5087 0.0675
F13 F 0.3521 0.4198 0.3747
F14 F 0.3993 0.3189 0.6656
........
So much for the materials data:

    Fourth, the Government decided to release up to 1,000 Palestinian detainees and prisoners within the coming week.

    Fifth, new security and prayer arrangements will be made for the Tomb of the Patriarchs in Hebron. The site will be reopened when these new arrangements are made.

    Sixth, the Government will provide compensation to the families of the victims.

    Unfortunately, some Palestinian leaders have called the Government's decisions "empty, hollow and superficial." This is very regrettable.

    I want to stress here that the Government of Israel is fully committed to doing its utmost to protect Arabs and Jews alike. Measures are being taken to halt the activities of all radical elements which are a source of incitement in the territories.

    The Israel Defense Forces will continue to do all they can to maintain public order and to prevent further incidents and bloodshed. Once the implementation of the Israeli-Palestinian agreement begins, the Palestinian police will take its part in ensuring security.

    We believe that the only sincere solution to the conflict between Israelis and Palestinians is to enhance the implementation of the agreement between Israel and the PLO. We all have to focus on accelerating the progress towards peace.

    Foreign Minister Shimon Peres said that "peace is the true answer to the hate-mongers and the sowers of grief."

    Faithful and speedy implementation of the agreement on Interim Self-Government Arrangements will frustrate the plans of extremists and swell the ranks of those who believe that Israelis and Palestinians can and should live in peace, dignity and mutual respect.

    The Security Council has a responsibility to support these proponents of peace by calling for accelerated progress towards implementing the Israeli-Palestinian agreement.

    I will conclude with these words, delivered by Prime Minister Rabin to Israel's Knesset:

    "I say to the Palestinians... we understand your feelings, and suffer this terrible tragedy together with you. We identify with the heavy sorrow, the distress and the tears, and we know that even when peace will come, both you and we will bear the scars of war.

    "We call upon you to return to the negotiating table, to resume the talks. We shall sit down and continue the negotiations. For after the blood, after the tears, that which we have so long sought and dreamed about may lie waiting in the near future: To put an end to one hundred years of war and terrorism, and to begin to exist, to begin to live, like all nations."

    Thank you, Mr. President.